Return the whole of the material underneath verbatim.

~~~
The following is a theoretical powder diffraction line list of MgCo5O8. It was derived from a DFT-relaxed cell (PBE+U, the Materials Project), using Cu Kα.
Neutral-atom scattering factors, no anomalous dispersion.

Largest 10 diffraction maxima, low angle first, 2θ from 10° to 90°:
d 4.796, 18.5°, intensity 37, hkl 1 0 0; d 2.937, 30.4°, intensity 19, hkl 1 1 -1; d 2.505, 35.9°, intensity 100, hkl 2 -1 1; d 2.398, 37.5°, intensity 15, hkl 0 0 2; d 2.077, 43.6°, intensity 31, hkl 2 0 -2; d 1.600, 57.6°, intensity 17, hkl 1 -3 0; d 1.598, 57.7°, intensity 20, hkl 2 1 -3; d 1.469, 63.3°, intensity 38, hkl 2 -4 2; d 1.467, 63.4°, intensity 7, hkl 4 -2 0; d 1.266, 75.0°, intensity 7, hkl 3 1 0

Crystal structure
Lattice parameters (Å, degrees): 5.8661 5.8721 5.8755 119.94 90.02 119.95
Space group P1 (No. 1)
Asymmetric unit:
1 Mg 0.0000 0.0000 0.0000
2 Co 0.1287 0.7600 0.3897
3 Co 0.2601 0.5197 0.7797
4 Co 0.6298 0.7581 0.3897
5 Co 0.6310 0.2616 0.8925
6 Co 0.6316 0.2611 0.3897
7 O 0.3664 0.2166 0.6461
8 O 0.3985 0.7970 0.1950
9 O 0.4119 0.2429 0.1361
10 O 0.4297 0.7962 0.6468
11 O 0.8306 0.7238 0.1354
12 O 0.8505 0.2791 0.6462
13 O 0.8617 0.7227 0.5849
14 O 0.8939 0.3054 0.1363

The following is a theoretical powder diffraction line list of MgCo5O8. It was derived from a DFT-relaxed cell (PBE+U, the Materials Project), using Cu Kα.
Neutral-atom scattering factors, no anomalous dispersion.

Largest 10 diffraction maxima, low angle first, 2θ from 10° to 90°:
d 5.910, 15.0°, intensity 81, hkl 0 0 1; d 4.850, 18.3°, intensity 33, hkl 1 1 0; d 4.824, 18.4°, intensity 100, hkl 1 1 -1; d 3.768, 23.6°, intensity 31, hkl 2 0 -2; d 2.826, 31.7°, intensity 31, hkl 3 1 -2; d 2.773, 32.3°, intensity 44, hkl 0 2 1; d 2.651, 33.8°, intensity 40, hkl 2 2 -1; d 2.552, 35.2°, intensity 45, hkl 2 0 1; d 2.473, 36.3°, intensity 22, hkl 4 0 -2; d 2.152, 42.0°, intensity 70, hkl 0 2 2

Crystal structure
Lattice parameters (Å, degrees): 9.8936 6.2788 7.6560 90.00 129.47 90.00
Space group Cm (No. 8)
Asymmetric unit:
1 Mg 0.0000 0.0000 0.0000
2 Co 0.1057 0.0000 0.7054
3 Co 0.2452 0.2624 0.4804
4 Co 0.3779 0.5000 0.2707
5 Co 0.4452 0.0000 0.1410
6 O 0.1631 0.5000 0.2271
7 O 0.2059 0.0000 0.0053
8 O 0.2489 0.0000 0.6181
9 O 0.3003 0.5000 0.6746
10 O 0.4534 0.2723 0.5241
11 O 0.4861 0.2938 0.1896

The following is a theoretical powder diffraction line list of MgCo2O4. It was derived from a DFT-relaxed cell (PBE+U, the Materials Project), using Cu Kα.
Neutral-atom scattering factors, no anomalous dispersion.

Largest 10 diffraction maxima, low angle first, 2θ from 10° to 90°:
d 4.882, 18.2°, intensity 100, hkl 1 0 1; d 2.604, 34.4°, intensity 45, hkl 1 0 3; d 2.524, 35.6°, intensity 88, hkl 2 1 1; d 2.441, 36.8°, intensity 23, hkl 2 0 2; d 2.177, 41.5°, intensity 28, hkl 0 0 4; d 2.085, 43.4°, intensity 49, hkl 2 2 0; d 1.670, 55.0°, intensity 16, hkl 1 0 5; d 1.607, 57.3°, intensity 27, hkl 3 2 1; d 1.505, 61.6°, intensity 51, hkl 2 2 4; d 1.474, 63.1°, intensity 23, hkl 4 0 0

Crystal structure
Lattice parameters (Å, degrees): 5.8960 5.8960 8.7060 90.00 90.00 90.00
Space group I4_1/a (No. 88, origin choice 2)
Asymmetric unit:
1 Mg 0.0000 0.2500 0.1250
2 Co 0.0000 0.0000 0.5000
3 O 0.0146 0.4814 0.7380

The following is a theoretical powder diffraction line list of MgCo2O4. It was derived from a DFT-relaxed cell (PBE+U, the Materials Project), using Cu Kα.
Neutral-atom scattering factors, no anomalous dispersion.

Largest 10 diffraction maxima, low angle first, 2θ from 10° to 90°:
d 4.876, 18.2°, intensity 56, hkl 0 0 3; d 2.986, 29.9°, intensity 14, hkl 0 1 4; d 2.547, 35.2°, intensity 100, hkl 2 0 1; d 2.439, 36.9°, intensity 14, hkl 0 2 2; d 2.112, 42.8°, intensity 48, hkl 2 0 4; d 1.626, 56.6°, intensity 36, hkl 2 0 7; d 1.495, 62.1°, intensity 27, hkl 2 2 0; d 1.492, 62.2°, intensity 27, hkl 0 2 8; d 1.289, 73.5°, intensity 8, hkl 0 4 1; d 1.100, 89.0°, intensity 10, hkl 0 4 7

Crystal structure
~~~

The following is a theoretical powder diffraction line list of MgCo5O8. It was derived from a DFT-relaxed cell (PBE+U, the Materials Project), using Cu Kα.
Neutral-atom scattering factors, no anomalous dispersion.

Largest 10 diffraction maxima, low angle first, 2θ from 10° to 90°:
d 4.796, 18.5°, intensity 37, hkl 1 0 0; d 2.937, 30.4°, intensity 19, hkl 1 1 -1; d 2.505, 35.9°, intensity 100, hkl 2 -1 1; d 2.398, 37.5°, intensity 15, hkl 0 0 2; d 2.077, 43.6°, intensity 31, hkl 2 0 -2; d 1.600, 57.6°, intensity 17, hkl 1 -3 0; d 1.598, 57.7°, intensity 20, hkl 2 1 -3; d 1.469, 63.3°, intensity 38, hkl 2 -4 2; d 1.467, 63.4°, intensity 7, hkl 4 -2 0; d 1.266, 75.0°, intensity 7, hkl 3 1 0

Crystal structure
Lattice parameters (Å, degrees): 5.8661 5.8721 5.8755 119.94 90.02 119.95
Space group P1 (No. 1)
Asymmetric unit:
1 Mg 0.0000 0.0000 0.0000
2 Co 0.1287 0.7600 0.3897
3 Co 0.2601 0.5197 0.7797
4 Co 0.6298 0.7581 0.3897
5 Co 0.6310 0.2616 0.8925
6 Co 0.6316 0.2611 0.3897
7 O 0.3664 0.2166 0.6461
8 O 0.3985 0.7970 0.1950
9 O 0.4119 0.2429 0.1361
10 O 0.4297 0.7962 0.6468
11 O 0.8306 0.7238 0.1354
12 O 0.8505 0.2791 0.6462
13 O 0.8617 0.7227 0.5849
14 O 0.8939 0.3054 0.1363

The following is a theoretical powder diffraction line list of MgCo5O8. It was derived from a DFT-relaxed cell (PBE+U, the Materials Project), using Cu Kα.
Neutral-atom scattering factors, no anomalous dispersion.

Largest 10 diffraction maxima, low angle first, 2θ from 10° to 90°:
d 5.910, 15.0°, intensity 81, hkl 0 0 1; d 4.850, 18.3°, intensity 33, hkl 1 1 0; d 4.824, 18.4°, intensity 100, hkl 1 1 -1; d 3.768, 23.6°, intensity 31, hkl 2 0 -2; d 2.826, 31.7°, intensity 31, hkl 3 1 -2; d 2.773, 32.3°, intensity 44, hkl 0 2 1; d 2.651, 33.8°, intensity 40, hkl 2 2 -1; d 2.552, 35.2°, intensity 45, hkl 2 0 1; d 2.473, 36.3°, intensity 22, hkl 4 0 -2; d 2.152, 42.0°, intensity 70, hkl 0 2 2

Crystal structure
Lattice parameters (Å, degrees): 9.8936 6.2788 7.6560 90.00 129.47 90.00
Space group Cm (No. 8)
Asymmetric unit:
1 Mg 0.0000 0.0000 0.0000
2 Co 0.1057 0.0000 0.7054
3 Co 0.2452 0.2624 0.4804
4 Co 0.3779 0.5000 0.2707
5 Co 0.4452 0.0000 0.1410
6 O 0.1631 0.5000 0.2271
7 O 0.2059 0.0000 0.0053
8 O 0.2489 0.0000 0.6181
9 O 0.3003 0.5000 0.6746
10 O 0.4534 0.2723 0.5241
11 O 0.4861 0.2938 0.1896

The following is a theoretical powder diffraction line list of MgCo2O4. It was derived from a DFT-relaxed cell (PBE+U, the Materials Project), using Cu Kα.
Neutral-atom scattering factors, no anomalous dispersion.

Largest 10 diffraction maxima, low angle first, 2θ from 10° to 90°:
d 4.882, 18.2°, intensity 100, hkl 1 0 1; d 2.604, 34.4°, intensity 45, hkl 1 0 3; d 2.524, 35.6°, intensity 88, hkl 2 1 1; d 2.441, 36.8°, intensity 23, hkl 2 0 2; d 2.177, 41.5°, intensity 28, hkl 0 0 4; d 2.085, 43.4°, intensity 49, hkl 2 2 0; d 1.670, 55.0°, intensity 16, hkl 1 0 5; d 1.607, 57.3°, intensity 27, hkl 3 2 1; d 1.505, 61.6°, intensity 51, hkl 2 2 4; d 1.474, 63.1°, intensity 23, hkl 4 0 0

Crystal structure
Lattice parameters (Å, degrees): 5.8960 5.8960 8.7060 90.00 90.00 90.00
Space group I4_1/a (No. 88, origin choice 2)
Asymmetric unit:
1 Mg 0.0000 0.2500 0.1250
2 Co 0.0000 0.0000 0.5000
3 O 0.0146 0.4814 0.7380

The following is a theoretical powder diffraction line list of MgCo2O4. It was derived from a DFT-relaxed cell (PBE+U, the Materials Project), using Cu Kα.
Neutral-atom scattering factors, no anomalous dispersion.

Largest 10 diffraction maxima, low angle first, 2θ from 10° to 90°:
d 4.876, 18.2°, intensity 56, hkl 0 0 3; d 2.986, 29.9°, intensity 14, hkl 0 1 4; d 2.547, 35.2°, intensity 100, hkl 2 0 1; d 2.439, 36.9°, intensity 14, hkl 0 2 2; d 2.112, 42.8°, intensity 48, hkl 2 0 4; d 1.626, 56.6°, intensity 36, hkl 2 0 7; d 1.495, 62.1°, intensity 27, hkl 2 2 0; d 1.492, 62.2°, intensity 27, hkl 0 2 8; d 1.289, 73.5°, intensity 8, hkl 0 4 1; d 1.100, 89.0°, intensity 10, hkl 0 4 7

Crystal structure